Protect your pet from heat stroke this summer
Each year SPCAs across Canada receive hundreds of reports of pets being left in hot cars. It takes mere minutes for a hot environment to become life-threatening for an animal. For dogs in particular, a rise in temperature can very quickly lead to a medical emergency. Humans have sweat glands, but our canine counterparts have very few and only on their paws, making it difficult or even impossible for dogs to regulate their body temperature in rapidly changing environments.
Owner education is key as many people are not aware of how fast heat stroke can develop and the short amount of time it takes for a dog’s body to go into shock. The consequence of heat stroke can often be fatal. We sat down with OVC veterinary criticalist Dr. Shane Bateman to find out what heat stroke is and how owners can protect their pets this summer.
What is heat stroke and how is it caused?
Heat stroke is a term commonly used for hyperthermia or elevated body temperature and occurs when a pet can no longer cool down its own body. All warm-blooded animals that regulate their body temperature can be affected. A temperature above 103°F/39.4°C is considered abnormal; organ failure and death occur around 107°F-109°F (41.2°C-42.7°C). Heat stroke is much more common in dogs than cats, but can affect both species. The most common cause of heat stroke is leaving a dog in a car with insufficient ventilation.

Why is heat stroke a medical emergency?
Dogs cannot control their body temperature by sweating like people do since they only have a small number of sweat glands located in their footpads and their primary way of regulating body temperature is by panting. It often only takes minutes for a dog’s body temperature to rapidly increase. Flat-faced breeds of dogs such as pugs, boxers and bulldogs genetically have a restricted airway and are at greater risk for developing heat stroke. In these breeds, heat stroke can occur even when the outside temperature is only moderately elevated. Signs of heat stroke include panting and lethargy, difficulty breathing, vomiting, diarrhea, weakness or inability to stand and reduced responsiveness progressing to loss of consciousness and even seizures. Permanent organ damage and death is possible.
What exactly happens to a dog’s body when they experience heat stroke?
Hot conditions can prevent dogs from being able to regulate their own body temperature. It only takes minutes on a warm day for the air inside a car to become very hot. When dogs pant in a hot environment, they inhale that hot air directly into their lungs which causes their temperature to spike. When this occurs, protein structures in the body begin to fail. The linings of blood vessels are now damaged, which can cause blood clots in tissues throughout the body. Like humans, dogs require oxygen to their heart, liver, kidneys and more – these organs all start to fail from a lack of oxygen in the body, causing the dog to vomit or have diarrhea. The brain will then quickly become damaged, which may cause the dog to go into shock, produce seizures or even a coma, followed by death.
Is heat stroke preventable?
Yes, heat stroke is preventable! Each year during the spring, summer and fall, the OVC Companion Animal Hospital treats five to 10 pets with heat stroke. Unfortunately, sometimes the outcomes are tragic. Pet owners can prevent heat stroke by never allowing their animal to remain in a car that is not air conditioned, cool and running. Better yet – leave them at home; and avoid exercising their pet during the hottest times of the day. If you exercise with your pet outside, shift the time to cooler parts of the day such as early morning or late evening. On warmer days, resist the urge to go further than typical and actively reduce the amount of exercise on such days; ensure that pets have a cool or air-conditioned space in your home that they can escape to when needed.
On the very hottest days, most people are aware enough to avoid the major risk factors. Unfortunately, pet owners sometimes follow their urges on the first warm day in the spring, or a sudden warm spell in the fall, to be outside with their pet. Often pets have not acclimated to the change in weather or the change in activity level and can develop heat stroke in such conditions. Always be cautious and limit exposure and gradually allow pets to build up more of a tolerance to heat and exercise under such conditions.
What should owners do if they suspect their pet has heat stroke?
The entry is interrupted by molecular data
Record 1
The following is a quantum chemistry calculation of one molecule with the formula C10H14O6, from the OMol25 dataset.

CARTESIAN COORDINATES (ANGSTROEM)
1 O 2.162 -2.424 -0.080
2 O -1.716 -2.212 -1.751
3 O 3.117 0.318 -1.937
4 O -2.141 -2.214 1.697
5 O 1.407 1.801 -0.204
6 O -1.030 0.272 0.011
7 C 2.519 -1.744 -1.036
8 C -1.874 -2.634 -0.594
9 C 2.612 -0.294 -1.007
10 C -2.128 -1.761 0.524
11 C 2.999 0.691 1.249
12 C -2.881 0.488 1.541
13 C 0.383 1.902 -1.199
14 C -0.978 1.563 -0.599
15 C 1.960 0.477 0.138
16 C -2.321 -0.258 0.290
17 H 2.767 -2.300 -1.948
18 H -1.785 -3.701 -0.426
19 H 2.476 1.077 2.143
20 H 3.459 -0.269 1.458
21 H 3.792 1.394 0.962
22 H -3.753 -0.023 1.939
23 H -2.114 0.537 2.339
24 H -3.154 1.508 1.348
25 H 0.584 1.180 -1.996
26 H 0.375 2.913 -1.577
27 H -1.235 2.325 0.111
28 H -1.678 1.651 -1.421
29 H 1.162 -0.151 0.573
30 H -2.987 -0.116 -0.546

Computed properties:
Frontier orbital gap: 8.40 eV
Structure (SMILES): C[C@@H](OCCO[C@H](C)C(=O)C=O)C(=O)C=O
Total energy: -22878.7384 eV
Energy relative to the best compared isomer or geometry (same formula, charge and spin): 12.9 kcal per mole

***

Record 2
The following is a quantum chemistry calculation of C10H15BiClI2N2O2P as an isolated structure, from the OMol25 dataset.

CARTESIAN COORDINATES (ANGSTROEM)
1 I 3.964 1.224 -2.315
2 I 3.467 -0.422 1.712
3 Bi 1.750 0.395 -0.683
4 P 1.223 -2.372 -1.395
5 C 1.379 -3.894 -0.408
6 C -0.093 -2.854 -2.574
7 H 2.657 -1.675 -3.234
8 H 2.713 -3.450 -2.933
9 H 3.606 -2.330 -1.848
10 C 2.709 -2.459 -2.466
11 H -0.323 -2.010 -3.236
12 H 0.245 -3.711 -3.172
13 H 1.638 -4.723 -1.083
14 H 0.420 -4.103 0.085
15 H -0.998 -3.136 -2.021
16 H 2.169 -3.758 0.340
17 C 0.599 -1.353 1.388
18 O 0.362 -1.904 2.357
19 Cl 0.166 0.496 -2.750
20 N -2.256 4.455 3.599
21 C -1.201 3.746 3.070
22 O -0.055 3.879 3.482
23 C -1.528 2.883 1.887
24 C -2.688 3.024 1.101
25 C -2.857 2.174 0.001
26 C -1.831 1.266 -0.303
27 N -0.692 1.183 0.397
28 C -0.568 1.930 1.510
29 H -2.085 4.945 4.465
30 H -3.200 4.134 3.438
31 H -3.422 3.789 1.351
32 H -3.732 2.219 -0.648
33 H -1.901 0.616 -1.179
34 H 0.362 1.796 2.066

Computed properties:
Frontier orbital gap (alpha / beta): 3.66 / 4.28 eV
Net charge: +2
Total energy: -61524.0624 eV
Energy relative to the best compared isomer or geometry (same formula, charge and spin): 37.3 kcal per mole

***

Record 3
The following is a quantum chemistry calculation of C10H15Cl2NSTi as an isolated structure, from the OMol25 dataset.

CARTESIAN COORDINATES (ANGSTROEM)
1 Ti -0.666 -0.392 -0.357
2 Cl -2.109 0.484 1.196
3 Cl -0.461 -1.028 -2.513
4 C -1.014 1.952 -1.768
5 H -1.389 1.412 -2.637
6 H -1.542 2.863 -1.445
7 C 0.907 -0.848 0.557
8 C 0.245 1.747 -1.260
9 H 0.909 -1.830 1.045
10 C 0.704 2.798 -0.256
11 H 1.076 1.231 -1.797
12 C 2.052 2.494 0.407
13 H 0.830 3.754 -0.810
14 H -0.085 2.951 0.500
15 C 2.064 1.274 1.338
16 H 2.768 2.333 -0.409
17 H 2.379 3.388 0.967
18 C 2.195 -0.103 0.597
19 H 2.920 1.413 2.021
20 H 1.145 1.272 1.942
Here the entry continues
While heat stroke is an urgent medical emergency and the pet should be taken to a veterinarian for immediate attention, there are some basic things pet owners can do to provide safe and controlled reduction of body temperature: get the pet into a cool, air-conditioned space as soon as possible; offer a cold drink of water; use wet towels or blankets to soak your pet’s fur quickly and allow them to be in front of a fan blowing cool air; transport the pet to the nearest veterinary facility. If the patient is severely affected, the veterinary team can arrange a referral to an emergency hospital such as OVC when safe to do so.
What can pet owners do to feel prepared to deal with medical emergencies involving their pet (heat stroke or otherwise)?
Educate themselves on common risks and avoid them. Always be aware where the closest veterinary care is, or utilize telemedicine services to assist in triage and initial assessment and advice. Have some basic first aid elements at home or travel with them. Peroxide (fresh, not expired, unopened), clean towels / bandages, elastic bandage and a blanket large enough to help transport a pet if needed.
Watch Daisy's story, a dog who was treated for heat stroke in OVC's Intensive Care Unit (ICU).
Read more in the spring / summer issue of Best Friends Magazine.